What to do:
It remains to print all of the block further below without additions.
Input:
- - -
VASP calculation (PBE) on an optimized crystal structure of CeDy5Hg6.

Summary:
Formation enthalpy at 0 K, eV per atom: -0.4407
Energy, eV/atom: -3.00
V, Å³/atom: 26.224
Spin magnetization, Bohr magnetons per cell: 2.2

Cell: 5.267 7.526 8.361 Å, 90.00 108.30 90.00°
Fractional positions:
1 Ce 0.000 0.000 0.000
2 Dy 0.000 0.500 0.000
3 Dy 0.334 0.000 0.666
4 Dy 0.337 0.500 0.672
5 Dy 0.663 0.500 0.328
6 Dy 0.666 0.000 0.334
7 Hg 0.169 0.256 0.341
8 Hg 0.169 0.744 0.341
9 Hg 0.500 0.257 0.000
10 Hg 0.500 0.743 0.000
11 Hg 0.831 0.256 0.659
12 Hg 0.831 0.744 0.659

* * * * *

VASP calculation (PBE) on crystalline CoOsSe2 at its relaxed geometry.

Calculated values
- E above lowest polymorph: 838 meV/atom
- Uncorrected formation energy: 0.785 eV per atom
- E: -5.541 eV/atom
- SG: I-4m2

a = 5.108 Å, b = 5.108 Å, c = 5.108 Å
α = 137.58°, β = 137.58°, γ = 61.55°
Element x y z (fractional)
Se1 0.250 0.750 0.500
Os1 0.750 0.250 0.500
Se2 0.000 0.000 0.000
Co1 0.500 0.500 0.000


VASP calculation (PBE) on crystalline CsMg2Si2 at its relaxed geometry.

Calculated values
- E above lowest polymorph: 0 meV/atom
- Uncorrected formation energy: 0.038 eV per atom
- E: -2.939 eV/atom
- SG: I4/mmm

a = 4.930 Å, b = 4.930 Å, c = 6.336 Å
α = 67.11°, β = 67.11°, γ = 90.00°
Element x y z (fractional)
Mg1 0.750 0.250 0.500
Si1 0.613 0.613 0.774
Cs1 0.000 0.000 0.000
Si2 0.387 0.387 0.226
Mg2 0.250 0.750 0.500

* * * * *

(1)
Density functional theory data (GGA-PBE) for crystalline LaFe3 at its relaxed geometry.

Lattice parameters (Å, degrees): 3.681 3.681 21.464 90.00 90.00 90.00
Space group I4/mmm (No. 139)
Asymmetric unit:
La  0.000  0.000  0.114 x4
Fe  0.000  0.000  0.319 x4
Fe  0.000  0.500  0.000 x4
Fe  0.000  0.500  0.250 x4

Formation energy ... 1.5 eV/f.u.
Crystal system ... tetragonal
Density of states at the Fermi level ... 0.9108 states/eV per atom

=====

(2)
Density functional theory data (GGA-PBE) for crystalline AcTlPt2 at its relaxed geometry.

Lattice parameters (Å, degrees): 4.958 4.958 3.876 90.00 90.00 90.00
Space group P4/mmm (No. 123)
Asymmetric unit:
Ac  0.000  0.000  0.000 x1
Tl  0.500  0.500  0.000 x1
Pt  0.000  0.500  0.500 x2

Formation energy ... -2.2 eV/f.u.
Crystal system ... tetragonal
Density of states at the Fermi level ... 0.2461 states/eV per atom
- - -
Completed:
VASP calculation (PBE) on an optimized crystal structure of CeDy5Hg6.

Summary:
Formation enthalpy at 0 K, eV per atom: -0.4407
Energy, eV/atom: -3.00
V, Å³/atom: 26.224
Spin magnetization, Bohr magnetons per cell: 2.2

Cell: 5.267 7.526 8.361 Å, 90.00 108.30 90.00°
Fractional positions:
1 Ce 0.000 0.000 0.000
2 Dy 0.000 0.500 0.000
3 Dy 0.334 0.000 0.666
4 Dy 0.337 0.500 0.672
5 Dy 0.663 0.500 0.328
6 Dy 0.666 0.000 0.334
7 Hg 0.169 0.256 0.341
8 Hg 0.169 0.744 0.341
9 Hg 0.500 0.257 0.000
10 Hg 0.500 0.743 0.000
11 Hg 0.831 0.256 0.659
12 Hg 0.831 0.744 0.659

* * * * *

VASP calculation (PBE) on crystalline CoOsSe2 at its relaxed geometry.

Calculated values
- E above lowest polymorph: 838 meV/atom
- Uncorrected formation energy: 0.785 eV per atom
- E: -5.541 eV/atom
- SG: I-4m2

a = 5.108 Å, b = 5.108 Å, c = 5.108 Å
α = 137.58°, β = 137.58°, γ = 61.55°
Element x y z (fractional)
Se1 0.250 0.750 0.500
Os1 0.750 0.250 0.500
Se2 0.000 0.000 0.000
Co1 0.500 0.500 0.000


VASP calculation (PBE) on crystalline CsMg2Si2 at its relaxed geometry.

Calculated values
- E above lowest polymorph: 0 meV/atom
- Uncorrected formation energy: 0.038 eV per atom
- E: -2.939 eV/atom
- SG: I4/mmm

a = 4.930 Å, b = 4.930 Å, c = 6.336 Å
α = 67.11°, β = 67.11°, γ = 90.00°
Element x y z (fractional)
Mg1 0.750 0.250 0.500
Si1 0.613 0.613 0.774
Cs1 0.000 0.000 0.000
Si2 0.387 0.387 0.226
Mg2 0.250 0.750 0.500

* * * * *

(1)
Density functional theory data (GGA-PBE) for crystalline LaFe3 at its relaxed geometry.

Lattice parameters (Å, degrees): 3.681 3.681 21.464 90.00 90.00 90.00
Space group I4/mmm (No. 139)
Asymmetric unit:
La  0.000  0.000  0.114 x4
Fe  0.000  0.000  0.319 x4
Fe  0.000  0.500  0.000 x4
Fe  0.000  0.500  0.250 x4

Formation energy ... 1.5 eV/f.u.
Crystal system ... tetragonal
Density of states at the Fermi level ... 0.9108 states/eV per atom

=====

(2)
Density functional theory data (GGA-PBE) for crystalline AcTlPt2 at its relaxed geometry.

Lattice parameters (Å, degrees): 4.958 4.958 3.876 90.00 90.00 90.00
Space group P4/mmm (No. 123)
Asymmetric unit:
Ac  0.000  0.000  0.000 x1
Tl  0.500  0.500  0.000 x1
Pt  0.000  0.500  0.500 x2

Formation energy ... -2.2 eV/f.u.
Crystal system ... tetragonal
Density of states at the Fermi level ... 0.2461 states/eV per atom